Judy Virago examines the recent controversy surrounding a cis-male actor being cast in a trans role in the NZ production of Things I Know To Be True, and finds the real issue is cisgender writers using gender transition as a contemporary plot twist.
I quit acting for a while in my mid-20s. Embodying male characters was the kind of work I was no longer interested in and not much else was on offer. More diverse opportunities began to present themselves when I moved overseas. I had a few small parts in short films, music videos, web series and ads until I landed my first role in a feature film – Venus (2017). I was a supporting character – the wise and whimsical best friend. My role was intentionally cast as trans, but the character was never named as such in the film. The lead character was written as a South Asian transgender woman, but a cisgender gay man was cast to play her. The producers cited difficulty finding an actor who was trans, fit the demographic, and was happy to embody the character as male-presenting in the first few scenes.
Sound familiar? Well, it should, if you’ve been paying attention, because these “difficulties” keep repeating around the globe. New Zealand’s Court & Circa Theatres have manifested them this month with their production of Things I Know to be True – a play by straight, cisgender, Australian man Andrew Bovell. The NZ production cited difficulties in finding a trans actor suitable for the role of Mia/Mike, so cast a cis gay man instead. Now, I don’t think we should completely prohibit cis people from playing outside of their gender identity; we’re born naked and the rest is drag (thank Ru). Some women have penises, some men have vaginas, some collect a variety of genitals and keep them all in a drawer. Gender is a fluid social construct and we should be free to play with it, challenge it, and have fun with it. But when it comes to professional acting, the importance of casting trans people in trans roles comes down to equity. In an industry where opportunities for cis men and women to succeed are already few and far between, the pickings are even slimmer for gender minorities. Casting trans people in trans roles is about making inclusive, equitable employment decisions as much as it is about enriching the narrative with a greater truth.
Records of crystals from another source follow:
- - -
#i
Material: MgFe6O6F6
Method: DFT, GGA+U
State: relaxed

Cell and atoms, written as POSCAR:
```
MgFe6O6F6
1.0
-2.646 4.519 0.811
0.426 -0.973 5.259
7.946 3.721 0.485
Fe F O Mg
6 6 6 1
direct
0.044 0.073 0.330
0.952 0.908 0.993
0.391 0.567 0.494
0.590 0.426 0.196
0.439 0.549 0.833
0.085 0.043 0.670
0.671 0.675 0.365
0.224 0.860 0.183
0.322 0.282 0.991
0.846 0.183 0.495
0.827 0.137 0.809
0.650 0.685 0.671
0.789 0.115 0.159
0.291 0.346 0.330
0.183 0.852 0.501
0.231 0.836 0.849
0.665 0.653 0.007
0.294 0.347 0.669
0.479 0.962 0.040
```

The space group is P1 (1). The calculation puts the volume at 248 Å³ per cell.

=====

#ii
Material: MgFe6O6F6
Method: DFT, GGA+U
State: relaxed

Cell and atoms, written as POSCAR:
```
MgFe6O6F6
1.0
5.136 -0.356 0.001
-1.101 14.495 0.002
0.000 0.001 3.037
Fe Mg F O
6 1 6 6
direct
0.006 0.006 0.992
0.029 0.655 0.987
0.388 0.857 0.491
0.998 0.327 0.992
0.516 0.161 0.491
0.510 0.480 0.492
0.528 0.675 0.486
0.808 0.076 0.492
0.642 0.922 0.992
0.208 0.577 0.488
0.884 0.736 0.486
0.159 0.266 0.492
0.836 0.405 0.492
0.307 0.106 0.991
0.660 0.575 0.988
0.326 0.418 0.992
0.116 0.940 0.492
0.692 0.240 0.991
0.374 0.744 0.987
```

The space group is P1 (1). The calculation puts the volume at 225 Å³ per cell.

=====

Most stable: #ii. Least stable: #i.

=====

#i
Material: MgFe6O6F6
Method: DFT, GGA+U
State: relaxed

Cell and atoms, written as POSCAR:
```
MgFe6O6F6
1.0
5.140 0.029 0.033
0.083 14.801 -0.054
0.018 -0.011 3.069
Mg Fe O F
1 6 6 6
direct
0.526 0.001 0.998
0.515 0.229 0.509
0.014 0.661 0.021
0.022 0.351 0.012
0.057 0.913 0.001
0.443 0.801 0.509
0.445 0.507 0.513
0.192 0.776 0.026
0.187 0.607 0.516
0.304 0.444 0.013
0.183 0.286 0.507
0.707 0.269 0.007
0.293 0.947 0.514
0.767 0.712 0.526
0.818 0.421 0.513
0.421 0.130 0.003
0.683 0.868 0.998
0.777 0.017 0.484
0.671 0.567 0.016
```

The space group is P1 (1). The calculation puts the volume at 233 Å³ per cell.

=====

#ii
Material: MgFe6O6F6
Method: DFT, GGA+U
State: relaxed

Cell and atoms, written as POSCAR:
```
MgFe6O6F6
1.0
-2.019 3.898 2.841
-12.315 -4.903 -6.082
-0.395 -1.909 2.334
Fe F O Mg
6 6 6 1
direct
0.452 0.829 0.489
0.075 0.984 0.988
0.423 0.532 0.486
0.582 0.136 0.488
0.942 0.681 0.988
0.020 0.329 0.002
0.690 0.910 0.988
0.759 0.387 0.485
0.287 0.272 0.487
0.759 0.757 0.488
0.877 0.062 0.489
0.122 0.595 0.487
0.200 0.926 0.488
0.727 0.227 0.987
0.368 0.089 0.988
0.286 0.767 0.989
0.623 0.582 0.986
0.299 0.433 0.986
0.523 0.335 0.982
```

The space group is P1 (1). The calculation puts the volume at 229 Å³ per cell.

=====

#iii
Material: MgFe6O6F6
Method: DFT, GGA+U
State: relaxed

Cell and atoms, written as POSCAR:
```
MgFe6O6F6
1.0
5.224 0.225 0.157
0.224 5.307 -0.005
0.293 -0.015 8.809
F O Mg Fe
6 6 1 6
direct
0.841 0.202 0.531
0.158 0.754 0.157
0.666 0.704 0.665
0.288 0.347 0.007
0.302 0.346 0.341
0.814 0.184 0.834
0.195 0.851 0.839
0.823 0.146 0.166
0.688 0.666 0.984
0.333 0.360 0.671
0.217 0.848 0.501
0.728 0.615 0.335
0.031 0.428 0.204
- - -
The story is more complicated when a role requires the actor to play across the spectrum of gender, as the role of Mike/Mia does. Which leaves me wondering, why there aren’t more roles where trans folk just get to present one gender? Why does incorporating the trans experience in a production hinge on evincing a reductive “before and after” transition trope? Listen, we all love a reveal but this one is getting tired. I’m sick of stories (told from outside of our experiences) that use gender transition as the hook. For me, the real issue here isn’t that trans roles keep getting miscast, it’s that the trans stories that do get told are too often written by cisgender people.
If the fallout from this controversy is that theatre companies decide trans stories are too hard for them to tell, then fine – just make room for us at the table so we can tell our own stories. Trans-led productions don’t make the same mistakes. But the result I would prefer to see is that theatre makers are more inclined to seek trans people’s perspectives in the early stages of development, that nothing is said about us without us. In creating Venus, the production team asked for my opinions, listened to my experience, took on my feedback and adapted parts of the script. The film was not perfect but turned out to be a successful vehicle for getting the trans conversation into communities around the globe. Art has the power to change hearts, we just need the right minds behind it.